**Contents**
<<<
[1]
Mn2Zn3Ge3O12 | PBE+U | optimized geometry

The space group is Ia-3d (No. 230) and the conventional cell measures 12.155, 12.155 and 12.155 Å, with angles of 90.00, 90.00 and 90.00 degrees. Symmetry generates all atoms from Mn at (0.000, 0.000, 0.000), Zn at (0.000, 0.250, 0.125), Ge at (0.000, 0.250, 0.375) and O at (0.027, 0.054, 0.655).

The uncorrected energy comes out at -0.22247 Ha/atom. Its formation energy is -1.87 eV per atom. The crystal system is cubic.



[2]
MnZnGeO4 | PBE+U | optimized geometry

The space group is Pnma (No. 62) and the conventional cell measures 10.874, 6.279 and 5.026 Å, with angles of 90.00, 90.00 and 90.00 degrees. Symmetry generates all atoms from Mn at (0.222, 0.250, 0.009), Zn at (0.000, 0.000, 0.500), Ge at (0.094, 0.750, 0.067), O at (0.055, 0.250, 0.768), O at (0.090, 0.750, 0.716) and O at (0.163, 0.527, 0.230).

The uncorrected energy comes out at -0.23359 Ha/atom. Its formation energy is -2.01 eV per atom. The crystal system is orthorhombic.

=====

Record 1
Here is a geometry-optimized Na9Mg4Nb2P9O36 structure from the Materials Project database. Energies are from PBE.

Results
offset from the most stable computed form: 5 meV per atom
E_tot: -6.81 eV per atom

a b c (Å): 15.5540 26.8567 8.9152
angles (deg): 89.88 125.02 90.06
Last column: nearest neighbours and their distance in Å.
Positions (direct):
O 0.3420 0.6454 0.2636  1 P 1.54
O 0.0603 0.6869 0.9246  1 P 1.63
Na 0.9960 0.8752 0.7386  6 O 2.35-2.61
Mg 0.6034 0.4200 0.5641  6 O 2.05-2.21
O 0.4648 0.9432 0.9217  1 P 1.64
O 0.5798 0.7845 0.7364  1 P 1.58
Nb 0.1070 0.0837 0.0589  6 O 1.94-2.12
O 0.1519 0.5428 0.4189  1 P 1.55
O 0.7700 0.4373 0.7623  1 P 1.53
O 0.9567 0.7771 0.9290  1 P 1.59
Na 0.2473 0.5822 0.0002  6 O 2.38-2.57
O 0.6565 0.9730 0.2366  1 P 1.61
O 0.3416 0.6897 0.7554  1 P 1.54
O 0.9292 0.3859 0.2584  1 P 1.51
P 0.4976 0.1507 0.7456  4 O 1.50-1.63
O 0.9263 0.6156 0.7618  1 P 1.52
O 0.0403 0.2168 0.0619  1 P 1.51
P 0.1443 0.1325 0.7333  4 O 1.50-1.60
O 0.7576 0.7727 0.7331  1 P 1.60
O 0.8479 0.4505 0.5808  1 P 1.53
O 0.7668 0.1062 0.7623  1 P 1.54
Nb 0.6087 0.7518 0.5618  6 O 1.95-2.08
O 0.6522 0.3082 0.2322  1 P 1.61
Na 0.6845 0.1886 0.7558  6 O 2.38-2.58
O 0.0838 0.3801 0.2451  1 P 1.58
Mg 0.8956 0.7482 0.4389  6 O 1.99-2.15
O 0.9228 0.9521 0.7610  1 P 1.54
O 0.0406 0.1177 0.5597  1 P 1.51
O 0.0596 0.3117 0.4095  1 P 1.61
O 0.0426 0.8847 0.0683  1 P 1.53
Na 0.9940 0.5402 0.7375  6 O 2.35-2.61
O 0.5429 0.9491 0.5658  1 P 1.52
O 0.9250 0.2824 0.7538  1 P 1.53
P 0.9976 0.6507 0.7456  4 O 1.50-1.63
Nb 0.6070 0.5837 0.0589  6 O 1.94-2.12
P 0.4949 0.8489 0.2371  4 O 1.51-1.61
O 0.2531 0.3907 0.2370  1 P 1.61
O 0.6473 0.9464 0.9127  1 P 1.63
O 0.1473 0.4464 0.9127  1 P 1.63
O 0.7416 0.9443 0.7523  1 P 1.53
O 0.5838 0.8801 0.2451  1 P 1.58
Na 0.3055 0.5200 0.7128  5 O 2.38-2.60
P 0.4987 0.4843 0.7429  4 O 1.52-1.63
O 0.4343 0.5168 0.5730  1 P 1.52
Na 0.0011 0.7996 0.2693  4 O 2.35-2.56
O 0.4263 0.1156 0.7618  1 P 1.52
O 0.6393 0.2798 0.9038  1 P 1.62
Na 0.7526 0.9091 0.5225  4 O 2.31-2.53
P 0.6477 0.0326 0.2440  4 O 1.52-1.61
Na 0.7473 0.0822 0.0002  6 O 2.38-2.57
P 0.6460 0.9656 0.7382  4 O 1.52-1.63
O 0.5836 0.4521 0.7573  1 P 1.52
O 0.1565 0.4730 0.2366  1 P 1.61
O 0.0459 0.5505 0.0713  1 P 1.52
O 0.9343 0.0168 0.5730  1 P 1.52
P 0.6455 0.3678 0.2430  4 O 1.53-1.61
P 0.3557 0.3675 0.2596  4 O 1.52-1.61
O 0.2416 0.4443 0.7523  1 P 1.53
O 0.7531 0.8907 0.2370  1 P 1.61
O 0.2515 0.0595 0.2313  1 P 1.62
Mg 0.3978 0.7511 0.9458  6 O 2.00-2.16
O 0.3580 0.0477 0.0953  1 P 1.51
O 0.6489 0.6921 0.7388  1 P 1.60
Nb 0.6063 0.9132 0.0602  6 O 1.97-2.07
O 0.9648 0.4432 0.9217  1 P 1.64
P 0.9971 0.3180 0.7391  4 O 1.50-1.58
O 0.8416 0.1897 0.7554  1 P 1.54
O 0.9410 0.6843 0.5807  1 P 1.50
O 0.8475 0.8542 0.7635  1 P 1.52
O 0.5459 0.0505 0.0713  1 P 1.52
O 0.2391 0.8909 0.2550  1 P 1.53
O 0.6519 0.0428 0.4189  1 P 1.55
Na 0.6959 0.4732 0.3057  3 O 2.31-2.45
O 0.7404 0.6107 0.7581  1 P 1.50
O 0.3551 0.2845 0.5841  1 P 1.50
>>>

**Job**
Restate the whole of the listing further above with every line break kept.

**Reply**
[1]
Mn2Zn3Ge3O12 | PBE+U | optimized geometry

The space group is Ia-3d (No. 230) and the conventional cell measures 12.155, 12.155 and 12.155 Å, with angles of 90.00, 90.00 and 90.00 degrees. Symmetry generates all atoms from Mn at (0.000, 0.000, 0.000), Zn at (0.000, 0.250, 0.125), Ge at (0.000, 0.250, 0.375) and O at (0.027, 0.054, 0.655).

The uncorrected energy comes out at -0.22247 Ha/atom. Its formation energy is -1.87 eV per atom. The crystal system is cubic.



[2]
MnZnGeO4 | PBE+U | optimized geometry

The space group is Pnma (No. 62) and the conventional cell measures 10.874, 6.279 and 5.026 Å, with angles of 90.00, 90.00 and 90.00 degrees. Symmetry generates all atoms from Mn at (0.222, 0.250, 0.009), Zn at (0.000, 0.000, 0.500), Ge at (0.094, 0.750, 0.067), O at (0.055, 0.250, 0.768), O at (0.090, 0.750, 0.716) and O at (0.163, 0.527, 0.230).

The uncorrected energy comes out at -0.23359 Ha/atom. Its formation energy is -2.01 eV per atom. The crystal system is orthorhombic.

=====

Record 1
Here is a geometry-optimized Na9Mg4Nb2P9O36 structure from the Materials Project database. Energies are from PBE.

Results
offset from the most stable computed form: 5 meV per atom
E_tot: -6.81 eV per atom

a b c (Å): 15.5540 26.8567 8.9152
angles (deg): 89.88 125.02 90.06
Last column: nearest neighbours and their distance in Å.
Positions (direct):
O 0.3420 0.6454 0.2636  1 P 1.54
O 0.0603 0.6869 0.9246  1 P 1.63
Na 0.9960 0.8752 0.7386  6 O 2.35-2.61
Mg 0.6034 0.4200 0.5641  6 O 2.05-2.21
O 0.4648 0.9432 0.9217  1 P 1.64
O 0.5798 0.7845 0.7364  1 P 1.58
Nb 0.1070 0.0837 0.0589  6 O 1.94-2.12
O 0.1519 0.5428 0.4189  1 P 1.55
O 0.7700 0.4373 0.7623  1 P 1.53
O 0.9567 0.7771 0.9290  1 P 1.59
Na 0.2473 0.5822 0.0002  6 O 2.38-2.57
O 0.6565 0.9730 0.2366  1 P 1.61
O 0.3416 0.6897 0.7554  1 P 1.54
O 0.9292 0.3859 0.2584  1 P 1.51
P 0.4976 0.1507 0.7456  4 O 1.50-1.63
O 0.9263 0.6156 0.7618  1 P 1.52
O 0.0403 0.2168 0.0619  1 P 1.51
P 0.1443 0.1325 0.7333  4 O 1.50-1.60
O 0.7576 0.7727 0.7331  1 P 1.60
O 0.8479 0.4505 0.5808  1 P 1.53
O 0.7668 0.1062 0.7623  1 P 1.54
Nb 0.6087 0.7518 0.5618  6 O 1.95-2.08
O 0.6522 0.3082 0.2322  1 P 1.61
Na 0.6845 0.1886 0.7558  6 O 2.38-2.58
O 0.0838 0.3801 0.2451  1 P 1.58
Mg 0.8956 0.7482 0.4389  6 O 1.99-2.15
O 0.9228 0.9521 0.7610  1 P 1.54
O 0.0406 0.1177 0.5597  1 P 1.51
O 0.0596 0.3117 0.4095  1 P 1.61
O 0.0426 0.8847 0.0683  1 P 1.53
Na 0.9940 0.5402 0.7375  6 O 2.35-2.61
O 0.5429 0.9491 0.5658  1 P 1.52
O 0.9250 0.2824 0.7538  1 P 1.53
P 0.9976 0.6507 0.7456  4 O 1.50-1.63
Nb 0.6070 0.5837 0.0589  6 O 1.94-2.12
P 0.4949 0.8489 0.2371  4 O 1.51-1.61
O 0.2531 0.3907 0.2370  1 P 1.61
O 0.6473 0.9464 0.9127  1 P 1.63
O 0.1473 0.4464 0.9127  1 P 1.63
O 0.7416 0.9443 0.7523  1 P 1.53
O 0.5838 0.8801 0.2451  1 P 1.58
Na 0.3055 0.5200 0.7128  5 O 2.38-2.60
P 0.4987 0.4843 0.7429  4 O 1.52-1.63
O 0.4343 0.5168 0.5730  1 P 1.52
Na 0.0011 0.7996 0.2693  4 O 2.35-2.56
O 0.4263 0.1156 0.7618  1 P 1.52
O 0.6393 0.2798 0.9038  1 P 1.62
Na 0.7526 0.9091 0.5225  4 O 2.31-2.53
P 0.6477 0.0326 0.2440  4 O 1.52-1.61
Na 0.7473 0.0822 0.0002  6 O 2.38-2.57
P 0.6460 0.9656 0.7382  4 O 1.52-1.63
O 0.5836 0.4521 0.7573  1 P 1.52
O 0.1565 0.4730 0.2366  1 P 1.61
O 0.0459 0.5505 0.0713  1 P 1.52
O 0.9343 0.0168 0.5730  1 P 1.52
P 0.6455 0.3678 0.2430  4 O 1.53-1.61
P 0.3557 0.3675 0.2596  4 O 1.52-1.61
O 0.2416 0.4443 0.7523  1 P 1.53
O 0.7531 0.8907 0.2370  1 P 1.61
O 0.2515 0.0595 0.2313  1 P 1.62
Mg 0.3978 0.7511 0.9458  6 O 2.00-2.16
O 0.3580 0.0477 0.0953  1 P 1.51
O 0.6489 0.6921 0.7388  1 P 1.60
Nb 0.6063 0.9132 0.0602  6 O 1.97-2.07
O 0.9648 0.4432 0.9217  1 P 1.64
P 0.9971 0.3180 0.7391  4 O 1.50-1.58
O 0.8416 0.1897 0.7554  1 P 1.54
O 0.9410 0.6843 0.5807  1 P 1.50
O 0.8475 0.8542 0.7635  1 P 1.52
O 0.5459 0.0505 0.0713  1 P 1.52
O 0.2391 0.8909 0.2550  1 P 1.53
O 0.6519 0.0428 0.4189  1 P 1.55
Na 0.6959 0.4732 0.3057  3 O 2.31-2.45
O 0.7404 0.6107 0.7581  1 P 1.50
O 0.3551 0.2845 0.5841  1 P 1.50